Brief.
What is needed: say how many lines of the lines below hold the word "species", as a bare number.
Entries.
(1)
Computed, not measured: a molecular structure, C49H55N7O5Ta in a non-equilibrium geometry, with wB97M-V/def2-TZVPD.

```
117
Properties=species:S:1:pos:R:3:forces:R:3:mulliken_charge:R:1
Ta -0.25412 -0.45708 0.41975 -0.72 0.84 0.94 1.41
N -0.24357 1.71607 1.28724 -0.07 0.02 -0.69 0.03
C -0.36291 3.08614 0.75569 0.11 -0.06 0.16 0.07
C 0.04282 4.09646 1.62415 0.05 0.06 0.11 -0.67
C -0.04818 5.42560 1.26142 -0.01 0.05 -0.03 -0.91
C -0.56236 5.75206 0.00995 0.01 -0.01 0.03 -0.96
C -0.96986 4.74200 -0.84086 0.02 0.00 -0.07 -0.34
C -0.86662 3.38475 -0.49674 -0.08 -0.11 -0.21 -0.74
C -1.47144 2.42195 -1.48892 0.08 0.04 0.12 1.12
C -2.86772 2.30741 -1.40362 0.09 0.09 0.09 -0.39
C -3.62529 1.76711 -2.42404 0.03 -0.08 -0.07 -1.16
C -2.98333 1.34334 -3.58171 -0.11 -0.03 0.02 -0.96
C -1.60368 1.39100 -3.65593 0.08 -0.03 -0.05 -0.31
C -0.80820 1.89335 -2.62022 0.19 -0.09 0.08 0.18
H 0.67471 1.68070 1.73929 0.10 0.02 0.12 0.03
H -0.91469 1.63009 2.04937 -0.13 -0.10 0.11 0.52
H 0.41465 3.82978 2.61067 -0.05 0.02 -0.10 0.73
H 0.25794 6.20119 1.95382 -0.02 -0.06 -0.07 0.47
H -0.66066 6.78926 -0.29148 0.01 -0.11 0.03 0.49
H -1.38905 4.99550 -1.81080 0.01 -0.02 0.10 0.56
H -3.36487 2.73404 -0.53775 0.05 -0.03 -0.05 0.61
H -4.70616 1.73718 -2.34432 0.07 0.03 -0.02 0.50
H -3.55861 1.02443 -4.44334 0.03 -0.05 0.05 0.55
H -1.12150 1.11850 -4.58539 -0.02 -0.05 0.04 0.60
C 2.76157 -4.36722 2.68958 0.01 0.05 0.19 -0.57
O 2.31942 -4.03396 4.01896 -0.11 -0.19 -0.35 -0.45
C 3.12730 -3.23289 4.76846 0.00 -0.10 0.02 0.27
C 3.55211 -3.70121 6.00443 0.10 -0.06 0.16 -0.72
C 4.35694 -2.91421 6.81168 0.01 0.00 0.00 -0.57
C 4.74589 -1.64352 6.39162 -0.01 -0.04 0.05 -0.77
C 4.29331 -1.16117 5.17824 0.02 0.11 -0.01 -0.92
C 3.47172 -1.94525 4.37290 0.04 0.23 -0.05 0.89
N 3.02926 -1.40405 3.11694 0.24 0.04 0.14 0.59
C 1.76670 -1.19468 2.74350 0.37 0.24 -0.66 0.24
N 0.80216 -1.62531 3.52798 -0.63 -0.12 0.03 0.34
C -0.59304 -1.52710 3.36664 0.01 0.07 -0.09 -0.08
C -1.27102 -1.10499 2.22339 0.58 0.06 -0.65 -0.34
C -2.68176 -1.01887 2.26762 0.18 -0.02 0.25 -0.40
C -3.36624 -1.37121 3.41343 -0.06 0.01 0.06 -1.51
C -2.68380 -1.82805 4.53716 -0.25 0.01 -0.02 -0.35
C -1.30686 -1.90352 4.51789 0.02 -0.03 0.27 1.14
O -0.54244 -2.30474 5.55070 -0.10 -0.18 0.21 -0.43
C -1.20105 -2.84602 6.71470 0.04 0.10 -0.19 -1.01
N 1.50244 -0.56976 1.56940 -0.53 -0.12 0.66 0.59
C 2.62947 -0.19418 0.75365 -0.43 0.08 -0.14 -1.54
C 3.18371 -1.12608 -0.12677 0.02 -0.12 -0.01 0.04
C 4.36207 -0.83847 -0.79473 -0.04 0.01 -0.05 -1.15
C 4.97315 0.39195 -0.59128 0.02 0.16 0.01 -0.97
C 4.41720 1.34829 0.25519 0.10 -0.15 -0.19 -0.28
C 3.24041 1.06364 0.93841 0.16 -0.05 -0.04 1.20
O 2.67698 1.89380 1.84345 -0.01 0.20 0.11 -0.19
C 3.40159 3.10066 2.17324 -0.05 -0.14 -0.02 -1.32
H 2.52095 -5.41270 2.52270 -0.02 -0.04 0.04 0.38
H 3.83843 -4.22469 2.59288 0.00 0.00 0.02 0.31
H 2.23955 -3.76341 1.94492 -0.04 0.03 -0.02 0.06
H 3.26043 -4.70444 6.29780 0.03 0.12 -0.02 0.50
H 4.69785 -3.29874 7.76639 -0.03 0.04 -0.09 0.44
H 5.38906 -1.03130 7.01288 -0.06 -0.07 -0.06 0.43
H 4.56865 -0.16465 4.84449 -0.03 -0.08 0.03 0.51
H 3.73438 -0.98383 2.53308 0.10 -0.04 -0.06 0.14
H 1.08310 -2.11789 4.36834 -0.03 0.00 0.09 0.30
H -3.23873 -0.66401 1.41705 -0.03 0.02 0.06 0.79
H -4.44827 -1.29363 3.44343 0.12 -0.01 -0.01 0.50
H -3.23154 -2.10737 5.42791 0.02 0.03 -0.09 0.53
H -0.41457 -3.22305 7.35438 0.10 0.00 0.03 0.27
H -1.86558 -3.66041 6.42974 0.01 -0.03 -0.02 0.44
H -1.75631 -2.06682 7.23392 -0.01 0.04 0.00 0.36
H 2.70244 -2.09600 -0.23004 0.01 0.07 -0.01 0.52
H 4.81436 -1.57748 -1.44486 -0.01 0.04 0.05 0.55
H 5.91059 0.61825 -1.08990 -0.10 -0.01 0.05 0.49
H 4.92251 2.29385 0.39574 -0.02 -0.07 -0.03 0.61
H 2.85671 3.57201 2.98242 -0.06 -0.03 0.03 0.31
H 3.44159 3.77340 1.31750 -0.02 -0.01 -0.04 0.38
H 4.40868 2.85526 2.51087 -0.03 -0.01 0.00 0.54
O 0.15273 -1.94401 -0.38896 0.46 -1.70 -1.00 -0.23
O 0.51272 -3.06992 -1.05078 -0.04 0.79 0.20 -0.65
N -2.22229 -0.77096 -0.62238 1.03 0.54 0.44 -0.52
Solution.
1